Next, say how many lines of the notes further down hold the word "Materials", as a bare number.
First-principles (PBE) data for Tm2PbS4 after structural relaxation, as listed in Materials Project.

Cell and atoms, written as POSCAR:
```
Tm2PbS4
1.0
10.260 0.000 0.000
0.000 13.377 0.000
-4.584 0.000 10.786
Tm Pb S
16 8 32
direct
0.036 0.000 0.157
0.074 0.177 0.457
0.178 0.899 0.484
0.192 0.092 0.860
0.210 0.534 0.403
0.313 0.642 0.117
0.320 0.508 0.822
0.447 0.201 0.419
0.553 0.701 0.581
0.680 0.008 0.178
0.687 0.142 0.883
0.790 0.034 0.597
0.808 0.592 0.140
0.822 0.399 0.516
0.926 0.677 0.543
0.964 0.500 0.843
0.068 0.337 0.166
0.107 0.304 0.712
0.448 0.893 0.337
0.498 0.329 0.075
0.502 0.829 0.925
0.552 0.393 0.663
0.893 0.804 0.288
0.932 0.837 0.834
0.070 0.024 0.612
0.078 0.561 0.164
0.109 0.649 0.765
0.133 0.165 0.050
0.151 0.826 0.261
0.232 0.460 0.003
0.233 0.817 0.978
0.237 0.063 0.384
0.239 0.333 0.442
0.242 0.959 0.062
0.317 0.234 0.176
0.375 0.575 0.631
0.420 0.630 0.356
0.422 0.854 0.630
0.423 0.326 0.811
0.485 0.100 0.976
0.515 0.600 0.024
0.577 0.826 0.189
0.578 0.354 0.370
0.580 0.130 0.644
0.625 0.075 0.369
0.683 0.734 0.824
0.758 0.459 0.938
0.761 0.833 0.558
0.763 0.563 0.616
0.767 0.317 0.022
0.768 0.960 0.997
0.849 0.326 0.739
0.867 0.665 0.950
0.891 0.149 0.235
0.922 0.061 0.836
0.930 0.524 0.388
```

Values from the calculation:
E_form in eV/atom: -1.53
Total moment in Bohr magnetons per cell: 0.000
E above lowest polymorph in eV/atom: 0.393
Total energy after the MP2020 corrections in eV/cell: -319.18
Space-group type: P2_1 (4)

----------

w | Below is a relaxed structure of LaZnFeSnO6, with properties calculated at the PBE with a Hubbard U level.

Cell lengths 5.6434, 5.6434, 5.6434 Å; angles 60.00, 60.00, 60.00 degrees
Fractional positions:
La (0.7500, 0.7500, 0.7500)
Zn (0.2500, 0.2500, 0.2500)
Fe (0.0000, 0.0000, 0.0000)
Sn (0.5000, 0.5000, 0.5000)
O (0.7535, 0.2465, 0.2465)
O (0.2465, 0.7535, 0.7535)
O (0.7535, 0.2465, 0.7535)
O (0.2465, 0.7535, 0.2465)
O (0.7535, 0.7535, 0.2465)
O (0.2465, 0.2465, 0.7535)


x | Below is a relaxed structure of LaZnFeSnO6, with properties calculated at the PBE with a Hubbard U level.

Cell lengths 5.6538, 5.4450, 9.5899 Å; angles 55.98, 90.00, 90.00 degrees
Fractional positions:
La (0.2908, 0.2364, 0.7506)
La (0.7092, 0.2364, 0.2506)
Zn (0.7816, 0.7665, 0.7558)
Zn (0.2184, 0.7665, 0.2558)
Fe (0.7551, 0.9976, 0.0020)
Fe (0.2449, 0.9976, 0.5020)
Sn (0.7579, 0.4993, 0.5021)
Sn (0.2421, 0.4993, 0.0021)
O (0.2785, 0.3941, 0.2507)
O (0.4421, 0.1234, 0.0640)
O (0.4476, 0.7550, 0.4382)
O (0.5524, 0.7550, 0.9382)
O (0.5579, 0.1234, 0.5640)
O (0.7215, 0.3941, 0.7507)
O (0.7969, 0.6571, 0.2469)
O (0.9834, 0.8502, 0.4304)
O (0.9618, 0.2203, 0.0593)
O (0.0382, 0.2203, 0.5593)
O (0.0166, 0.8502, 0.9304)
O (0.2031, 0.6571, 0.7469)


Most stable: x. Least stable: w.


w | Below is a relaxed structure of NaFe2O4, with properties calculated at the PBE with a Hubbard U level.

Cell lengths 2.9981, 9.2397, 10.8373 Å; angles 90.00, 90.00, 90.00 degrees
Fractional positions:
Na (0.2500, 0.7426, 0.1574)
Na (0.7500, 0.7574, 0.6574)
Na (0.2500, 0.2426, 0.3426)
Na (0.7500, 0.2574, 0.8426)
Fe (0.2500, 0.5630, 0.3880)
Fe (0.2500, 0.5835, 0.8973)
Fe (0.7500, 0.9165, 0.3973)
Fe (0.7500, 0.9370, 0.8880)
Fe (0.2500, 0.0630, 0.1120)
Fe (0.2500, 0.0835, 0.6027)
Fe (0.7500, 0.4165, 0.1027)
Fe (0.7500, 0.4370, 0.6120)
O (0.7500, 0.5237, 0.7855)
O (0.2500, 0.5754, 0.5740)
O (0.7500, 0.6142, 0.0198)
O (0.7500, 0.7051, 0.3493)
O (0.2500, 0.7949, 0.8493)
O (0.2500, 0.8858, 0.5198)
O (0.7500, 0.9246, 0.0740)
O (0.2500, 0.9763, 0.2855)
O (0.7500, 0.0237, 0.7145)
O (0.2500, 0.0754, 0.9260)
O (0.7500, 0.1142, 0.4802)
O (0.7500, 0.2051, 0.1507)
O (0.2500, 0.2949, 0.6507)
O (0.2500, 0.3858, 0.9802)
O (0.7500, 0.4246, 0.4260)
O (0.2500, 0.4763, 0.2145)


x | Below is a relaxed structure of NaFe2O4, with properties calculated at the PBE with a Hubbard U level.

Cell lengths 5.1469, 5.9765, 13.0144 Å; angles 62.79, 90.00, 90.00 degrees
Fractional positions:
Na (0.9700, 0.5000, 0.2500)
1